You are often reminded by your mother, girl friend or maybe the bottle to drink moderately. Despite the reminder, you still manage to get wasted and regret the day after vowing not to drink again. This cycle never ends. If you want to change this, you should find in yourself the will to stop or at least limit it.
Hangovers are made so you will realize what drinking can do to your body. There are however ways to defeat hangover but you have to remember that it will only deal with one or two symptoms – it cannot totally get rid of the whole thing. According to a researcher of Utrecht University, Joris Verster, the problem with hangover is that not all people understand how it works.
Hangover is common here in Singapore especially after a night out. The good thing is that there are things that you can do to help the body cope with hangover. Here are some tips on defeating hangover:
Eat a big fried breakfast
Englishmen deal with hangover by eating a big fried breakfast. That is not a bad start. Actually research showed that eating heavy in the morning may help but not totally get rid of all the symptoms. According to Keele University’s Richard Stephens, hangover has something to do with not having enough blood sugar as well as glucose metabolism.
Fried breakfast composed of eggs, baked beans and sausages actually have lots of carbohydrates which can help defeat hangover because it can restore the already depleted sugar levels.
Drink water
You believe that water can help with the hangover but Dutch research said it can only give relief to your dry mouth and it will help against thirst. It will not magically make things better. The headache and nausea will still be there even if you drink 10 pints of water every day.
Take headache pills
Many just reach headache pills after waking up in the morning. While it can help, it won’t magically get rid of everything. Hangover is actually an immunosuppression response because of the inflammation. The headache pills contain anti-inflammatory elements that can reduce hangover.
Go to bed early
Hangover is intensified in the morning because you didn’t get enough sleep last night. If you want to suffer less in the morning, it is always recommended that you end the session as soon as you can and go to sleep. If you drink at the expense of sleep, it’ll surely get worse.
Avoid dark spirits
These crystal structures were left in the article by mistake >
'''
CsMnB2F8 | GGA+U | optimized geometry

a b c (Å): 5.4263 5.4263 24.7809
angles (deg): 90.00 90.00 120.00
Space group R-3 (No. 148, hexagonal axes)
Asymmetric unit:
Cs 0.0000 0.0000 0.0000 x3
Mn 0.0000 0.0000 0.5000 x3
B 0.0000 0.0000 0.2481 x6
F 0.0000 0.0000 0.3055 x6
F 0.0134 0.2541 0.7705 x18

total DFT energy (no corrections): -205.6 eV per cell
theoretical density: 2.8 g cm⁻³


The following is a DFT calculation (PBE) of a relaxed structure of K5Hg.

Computed properties:
The density comes out at 1.87 Mg/m³. As for the total energy: -1.03 eV per atom. Its excess energy over the best structure of this formula in the dataset is 7 meV/atom. Its formation energy from the elements is -65 meV/atom. As for the total magnetization: 0.00 μB/cell.

a = 10.6407 Å, b = 10.6407 Å, c = 10.6407 Å
α = 129.18°, β = 129.18°, γ = 74.73°
Fractional coordinates of all 12 atoms:
K1 0.0000 0.0000 0.0000
K2 0.0187 0.5187 0.8334
K3 0.1853 0.0187 0.5000
K4 0.3147 0.8147 0.8334
K5 0.4813 0.3147 0.5000
K6 0.5000 0.5000 0.0000
K7 0.5187 0.6853 0.5000
K8 0.6853 0.1853 0.1666
K9 0.8147 0.9813 0.5000
K10 0.9813 0.4813 0.1666
Hg1 0.2500 0.2500 0.0000
Hg2 0.7500 0.7500 0.0000


The following is a DFT calculation (PBE) of a relaxed structure of KHg2.

Computed properties:
The density comes out at 7.35 Mg/m³. As for the total energy: -0.85 eV per atom. Its formation energy from the elements is -279 meV/atom. As for the total magnetization: 0.00 μB/cell.

a = 6.6676 Å, b = 6.6676 Å, c = 5.3435 Å
α = 113.26°, β = 113.26°, γ = 74.78°
Fractional coordinates of all 6 atoms:
K1 0.2019 0.2019 0.4530
K2 0.7981 0.7981 0.5470
Hg1 0.2173 0.6094 0.1642
Hg2 0.3906 0.7827 0.8358
Hg3 0.6094 0.2173 0.1642
Hg4 0.7827 0.3906 0.8358


The following is a DFT calculation (PBE) of a relaxed structure of KHg5.

Computed properties:
The density comes out at 9.62 Mg/m³. As for the total energy: -0.58 eV per atom. Its excess energy over the best structure of this formula in the dataset is 25 meV/atom. Its formation energy from the elements is -148 meV/atom. As for the total magnetization: 0.00 μB/cell.

a = 4.1175 Å, b = 4.1175 Å, c = 10.6147 Å
α = 90.00°, β = 90.00°, γ = 90.00°
Fractional coordinates of all 6 atoms:
K1 0.0000 0.0000 0.0000
Hg1 0.0000 0.0000 0.3467
Hg2 0.0000 0.0000 0.6533
Hg3 0.5000 0.5000 0.1970
Hg4 0.5000 0.5000 0.5000
Hg5 0.5000 0.5000 0.8030


The following is a DFT calculation (PBE) of a relaxed structure of KHg.

Computed properties:
The density comes out at 5.00 Mg/m³. As for the total energy: -0.81 eV per atom. Its formation energy from the elements is -112 meV/atom. As for the total magnetization: 0.00 μB/cell.

a = 6.1501 Å, b = 6.1501 Å, c = 9.7114 Å
α = 90.00°, β = 90.00°, γ = 120.00°
Fractional coordinates of all 8 atoms:
K1 0.0000 0.0000 0.2500
K2 0.0000 0.0000 0.7500
K3 0.3333 0.6667 0.2500
K4 0.6667 0.3333 0.7500
Hg1 0.3333 0.6667 0.5942
Hg2 0.3333 0.6667 0.9058
Hg3 0.6667 0.3333 0.0942
Hg4 0.6667 0.3333 0.4058
'''
End of the crystal structures >
Many people think that hangover is caused purely of how much you drink you had the night before. The truth is, the drinks you chose can make a difference. Dark spirits like brandy and whisky contain congeners, a chemical that can make you feel worst.